
ProGra Rx Review: Experience More and More Stamina
_Data records that have nothing to do with the article_
********
First-principles (PBE) data for a relaxed structure of BeSiP2, as listed in Materials Project.

a b c (Å): 6.2596 6.2596 6.2596
angles (deg): 131.53 131.53 70.98
Fractional positions:
Be 0.0000 0.0000 0.0000
Be 0.7500 0.2500 0.5000
Si 0.5000 0.5000 0.0000
Si 0.2500 0.7500 0.5000
P 0.6400 0.1250 0.0150
P 0.8750 0.8900 0.5150
P 0.3750 0.3600 0.4850
P 0.1100 0.6250 0.9850

- Density: 2444 kg/m³
- Offset from the most stable computed form: 0.000 eV per atom
- Formation energy from the elements: -0.374 eV/atom
- Energy: -5.372 eV/atom
- Space-group type: I-42d
- Largest piezoelectric modulus: 0.1 C/m2

----------

a) ## V3CoSn2P6O24 (PBE+U)

Data for an optimized crystal structure of V3CoSn2P6O24.

Cell: 8.9469 8.9469 8.9469 Å, 57.22 57.22 57.22°
Fractional coordinates of all 36 atoms:
O1 0.4393 0.2210 0.5737
O2 0.0579 0.9247 0.2790
O3 0.7792 0.4237 0.5660
O4 0.4237 0.5660 0.7792
O5 0.9851 0.2201 0.3690
O6 0.7846 0.6302 0.0070
O7 0.2841 0.5068 0.1296
O8 0.2210 0.5737 0.4393
O9 0.8731 0.7082 0.4970
O10 0.2201 0.3690 0.9851
O11 0.7206 0.9364 0.0765
O12 0.2790 0.0579 0.9247
O13 0.5737 0.4393 0.2210
O14 0.1296 0.2841 0.5068
O15 0.5660 0.7792 0.4237
O16 0.3690 0.9851 0.2201
O17 0.0765 0.7206 0.9364
O18 0.9364 0.0765 0.7206
O19 0.5068 0.1296 0.2841
O20 0.7082 0.4970 0.8731
O21 0.4970 0.8731 0.7082
O22 0.0070 0.7846 0.6302
O23 0.6302 0.0070 0.7846
O24 0.9247 0.2790 0.0579
Sn1 0.4999 0.4999 0.4999
Sn2 0.0086 0.0086 0.0086
P1 0.7495 0.4646 0.0365
P2 0.5336 0.9638 0.2487
P3 0.9638 0.2487 0.5336
P4 0.2487 0.5336 0.9638
P5 0.4646 0.0365 0.7495
P6 0.0365 0.7495 0.4646
V1 0.6473 0.6473 0.6473
V2 0.8546 0.8546 0.8546
V3 0.3513 0.3513 0.3513
Co1 0.1486 0.1486 0.1486

Computed properties:
For the total magnetization, the calculation gives 6.01 Bohr magnetons per cell. As for the space group: R3 (146).

=====

b) ## V3CoSn2P6O24 (PBE+U)

Data for an optimized crystal structure of V3CoSn2P6O24.

Cell: 9.1215 8.4529 8.4617 Å, 60.20 62.10 62.06°
Fractional coordinates of all 36 atoms:
P1 0.7532 0.7443 0.4697
P2 0.2546 0.5360 0.9583
P3 0.2535 0.2500 0.5345
P4 0.2547 0.9562 0.2512
P5 0.7524 0.4708 0.0340
P6 0.7490 0.0336 0.7471
Sn1 0.9357 0.0215 0.0218
Sn2 0.5365 0.4950 0.4841
V1 0.0610 0.6449 0.6468
V2 0.4403 0.8509 0.8544
V3 0.9615 0.3453 0.3468
O1 0.9213 0.8809 0.6946
O2 0.2874 0.9674 0.0500
O3 0.2967 0.6976 0.9556
O4 0.7312 0.9387 0.3000
O5 0.7326 0.2996 0.0310
O6 0.0782 0.2781 0.5140
O7 0.2100 0.7712 0.4035
O8 0.5891 0.0073 0.7547
O9 0.2916 0.0529 0.6932
O10 0.4016 0.2758 0.3479
O11 0.7721 0.4139 0.2319
O12 0.2129 0.4064 0.6083
O13 0.7659 0.2306 0.5854
O14 0.4069 0.3537 0.9661
O15 0.4048 0.9631 0.2766
O16 0.9246 0.6919 0.5016
O17 0.9241 0.5034 0.8825
O18 0.7733 0.5827 0.4122
O19 0.5930 0.7455 0.6468
O20 0.2140 0.6133 0.7701
O21 0.7262 0.0324 0.9417
O22 0.0814 0.1303 0.2807
O23 0.0838 0.5141 0.1304
O24 0.5899 0.6474 0.0184
Co1 0.5351 0.1534 0.1541

Computed properties:
********
_End of the data records_

If you're here, have experienced because you're struggling sexually, but you're concerned about side effects of conventional male enhancement. Or, perhaps you've tried one or more of these products and suffered from these undesirable effects. Either way, you ought to know that you're not alone. More men want sex than are able to perform well at it. That's why male enhancement is such a hot button issue. The designers of ProGra Rx Male Enhancement Pills wanted to offer something better. And, according to surveys, they did a good job of delivering. If you're all ready to get bigger erections, a more persistent libido, and greater ejaculatory control, you're in the right place! We don't have this product ourselves, but we'll point you for the ones who do. Might get the best ProGra Rx Price on marketplace by clicking one from the linkss and visiting a state site! 
Everything you get involved a bottle of ProGra Rx Pills has been hand-chosen by experts on male sexuality. Fat reduction men who love sex just plenty of as you, and females who want to feel more sexually dominated. With work with offered by this all-natural supplement, you'll learn bigger and harder erections than you have ever had before. Moreover, you'll experience the more sexual stamina, the longer you continue to take them. If you suffer from premature or delayed ejaculation, this too can be alleviated with consistent use of ProGra Rx. Whatever form of erectile dysfunction ails you, the ingredients you'll find here are designed to look out of it. But, most importantly of all, when you order on the official site, the ProGra Rx Cost you may is markedly less than other brands. Various other words, you're spending less, and convalescing and safer treatment! 
ProGra Rx Side Effects 
Now, then it's time for us to start up the elephant in the area. Surely, at least part of the interest in reading this far emanates from concern regarding ProGra Rx Side Repercussions. Why are side effects such a popular issue in this particular industry? Well, again, men love sex, desperate carry out just about anything to make it. Better performance and better sex equals more sexual encounters. Big Pharma knows this demand, which explains willing to cut corners, using cheap, faulty ingredients get been simply not safe to within. You've heard about the prolonged erection known as priapism. This particular really is only probably the most well-known for this many nasty side effects you may go through from the cutting edge brand. More secure news undeniable fact that the ProGra Rx Side effects are minor by comparison. You may experience dry mouth, or constipation. That's pretty much it. Unpleasant, but price it for better effectiveness!